About Margery Ginsberg

Margery Ginsberg bike riding in fall

For over twenty years, Dr. Margery Ginsberg has provided direct service to schools, school districts, colleges, universities and organizations serving the field of education.

Recipient of the American Educational Research Association (AERA) Relating Research to Practice Award, her work builds on experience as a university professor and for nearly a decade, director of the University of Washington–Seattle doctoral program for aspiring educational leaders.

Earlier in her career she was a teacher on the Menominee and Southern Ute reservations, U.S. Dept. of Education-funded Title I technical assistance provider to state education agencies, coordinator of migrant education in a nine-state region in the Southwest United States, and director of evaluation for the American Indian Science and Engineering Society (AISES).

The following link, recently written for the American Council on Education, explains the cornerstone of Margery’s work: A Motivational Framework for Instructional Equity in Higher Education.

Her most recent books, Enhancing Adult Motivation to Learn, 4th ed. (JosseyBass/WIley) and Excited to Learn: Motivation & Culturally Responsive Teaching (Corwin Press, 2015) received prestigious awards for outstanding educational literature.

Her co-authored book Diversity & Motivation: Culturally Responsive Teaching in College (Jossey-Bass/Wiley) received the 2011 Cyril O. Houle Award for Outstanding Literature in Adult Education.

Her work with under-resourced schools received a U.S. Department of Education National Professional Development Award. For a recent article about Margery’s partnership with a Chicago public primary school that has developed its own approach to classroom visits, see https://learningforward.org

Margery has a Ph.D. in Bilingual/Multicultural/Social Foundations of Education from the University of Colorado-Boulder. She currently lives in Chicago, Illinois with her husband, Raymond Wlodkowski and can be reached at margeryginsberg@gmail.com.


  • Cyril O. Houle Award for Outstanding Literature in Adult Education
  • Model National Professional Development Award
  • 2013 AERA Relating Research to Practice Award in the category of direct involvement with the educational community
  • 2015 IndieFab Best of Forward Reviews’​ Book of the Year Award for Outstanding Literature in Education


To create schools and systems of higher education where students and faculty are intrinsicially motivated to reach valued goals through high levels of performance.

Valued goals include:

  • high levels of academic achievement
  • joy of learning throughout life
  • active and engaged community participation
  • knowledge and skills to earn a living wage


At the University of Washington-Seattle (UW-Seattle) where I worked for approximately 10 years, my teaching, research, and consulting interests were (and are) intrinsic motivation as the foundation of K-12 and post-secondary instruction and school change, culturally responsive teaching, school transformation, and college teaching.

In addition to serving as lead faculty for the doctoral program in executive educational leadership, I taught courses in instructional leadership, professional learning, urban school transformation, and families & students as partners in change.

Records of crystals, as found in the file =
********
First-principles (GGA-PBE) data for a relaxed Cs2URe3O12 crystal, as listed in Alexandria.

The structure in CIF format:
```
data_Cs2URe3O12
_symmetry_space_group_name_H-M 'R -3 m'
_symmetry_Int_Tables_number 166
_symmetry_space_group_name_Hall '-R 3 2"'
_cell_length_a 7.3490
_cell_length_b 7.3490
_cell_length_c 18.9032
_cell_angle_alpha 90.00
_cell_angle_beta 90.00
_cell_angle_gamma 120.00
loop_
_atom_site_label
_atom_site_type_symbol
_atom_site_fract_x
_atom_site_fract_y
_atom_site_fract_z
_atom_site_occupancy
Cs1 Cs 0.0000 0.0000 0.1202 1
U1 U 0.0000 0.0000 0.5000 1
Re1 Re 0.0000 0.5000 0.0000 1
O1 O 0.0624 0.5312 0.1026 1
O2 O 0.0874 0.5437 0.3456 1
```

Output
VASP energy   -8.113 eV per atom
Magnetization   1.90 μB per formula unit

=====

{
  "formula": "BaY2Pb",
  "functional": "PBE-GGA",
  "state": "optimized geometry",
  "e_tot_ev_per_cell": -18.61,
  "vol_a3_per_cell": 141,
  "e_form_mev_per_atom": -12.4,
  "lattice": [[-1.6668, -9.7784, 6.5556], [1.4051, -10.8254, 4.7127], [1.6999, -8.7884, 7.8260]],
  "species": ["Ba", "Pb", "Y", "Y"],
  "fractional_positions": [[0.2500, 0.2500, 0.2500], [0.7500, 0.7500, 0.7500], [0.0105, 0.0105, 0.0105], [0.4895, 0.4895, 0.4895]]
}

{
  "formula": "BaYPb",
  "functional": "PBE-GGA",
  "state": "optimized geometry",
  "e_tot_ev_per_cell": -12.85,
  "vol_a3_per_cell": 114,
  "e_form_mev_per_atom": -250.1,
  "lattice": [[7.1653, -0.0034, 0.0059], [4.6825, 5.4237, -0.0059], [-5.7003, -3.1988, 2.9352]],
  "species": ["Ba", "Pb", "Y"],
  "fractional_positions": [[0.9882, 0.9882, 0.0000], [0.3023, 0.3023, 0.0000], [0.7095, 0.7095, 0.0000]]
}

{
  "formula": "BaY2Pb",
  "functional": "PBE-GGA",
  "state": "optimized geometry",
  "e_tot_ev_per_cell": -18.90,
  "vol_a3_per_cell": 134,
  "e_form_mev_per_atom": -86.0,
  "lattice": [[6.4767, 0.0017, 0.0000], [2.6859, 5.8935, 0.0000], [-4.5813, -2.9476, 3.5030]],
  "species": ["Ba", "Pb", "Y", "Y"],
  "fractional_positions": [[0.5000, 0.5000, 0.0000], [0.7500, 0.2500, 0.5000], [0.0000, 0.0000, 0.0000], [0.2500, 0.7500, 0.5000]]
}

{
  "formula": "BaY2Pb",
  "functional": "PBE-GGA",
  "state": "optimized geometry",
  "e_tot_ev_per_cell": -18.92,
  "vol_a3_per_cell": 142,
  "e_form_mev_per_atom": -91.1,
  "lattice": [[5.5095, 0.0000, 0.0000], [0.0000, 3.7968, 0.0366], [0.0000, 1.4390, 6.7917]],
  "species": ["Ba", "Pb", "Y", "Y"],
  "fractional_positions": [[0.5000, 0.2500, 0.2500], [0.5000, 0.7500, 0.7500], [0.0000, 0.9159, 0.9646], [0.0000, 0.5841, 0.5354]]
}

{
  "formula": "BaYPb",
  "functional": "PBE-GGA",
  "state": "optimized geometry",
  "e_tot_ev_per_cell": -12.97,
  "vol_a3_per_cell": 119,
  "e_form_mev_per_atom": -292.4,
  "lattice": [[5.3141, 0.0000, 0.0000], [-2.6571, 4.6021, 0.0000], [0.0000, 0.0000, 4.8713]],
  "species": ["Ba", "Pb", "Y"],
  "fractional_positions": [[0.0000, 0.0000, 0.9999], [0.3333, 0.6667, 0.4997], [0.6667, 0.3333, 0.5004]]
}

{
  "formula": "Ba2YPb",
  "functional": "PBE-GGA",
  "state": "optimized geometry",
********

I also co-directed the AIM Center, which is housed at Cleveland High School in Seattle. At the AIM Center (aimcenterseattle.org) I worked with teachers, educational leaders, high school & graduate students, and families to support Cleveland High’s development as a district and statewide professional learning center. In partnership, and from a strengths-focused perspective, we visited homes, shadowed students, visited classrooms in teams led by students, and examined assessment practices to create more inclusive, relevant, challenging, engaging, and success-oriented student learning. Teachers used the shared language of “the motivational framework for culturally responsive teaching” to collaborate on instructional effectiveness across subject areas and grade levels.

My courses were often taught in concert with practicing educators, community members, and youth. Although many factors contribute to school improvement, Cleveland High School received an award from Washington State for its 22-point increase in reading scores, 15-point increase in the graduation rate and a 100-student surge in enrollment.

The school continues to excel academically and, importantly, as a place where teachers and students love to learn.close quote